We already know the title of the new composition of Leszek Możdżer, a world famous jazz musician and composer who – after The Book of Psalms (2001) and Missa Gratiatoria (2008) – again reached for a religious text. The old christian Te Deum laudamus has already inspired a lot of different composers: Marc-Antoine Charpentiera, Anton Bruckner, Krzysztof Penderecki are only a few of them.
Surely the Grand Opening of the beautiful gothic St. John’s church is a great occasion to share this composition with a wider audience. How will composed for soprano and string orchestra, performed by the Polish Chamber Philharmonic Orchestra from Sopot, conducted by Wojciech Rajski, Te Deum sound in the renovated interior of the church? This we will get to know during the last evening organised in the cycle of events prepared for the Grand Opening of the church.
START: 7.00 pm
TICKETS: 50 zł (can be purchased at the BSCC Secretariat, notice that there is no possiblity to make a ticket reservation)
An outstanding pianist, composer and producer, Leszek Możdżer is widely considered to be the greatest revelation of the Polish jazz of the last decade. Born in 1971, he has been playing the piano since the age of five. He has covered every stage of the formal education until graduating from the Gdańsk Academy of Music named after Stanisław Moniuszko in 1996. He became interested in jazz relatively late - in the last grade - when he was 18. He was introduced into jazz in the band of Emil Kowalski, a clarinet player, but his proper start took place at the first rehearsal with a band called Miłość (Love) back in 1991. One year later, he received an individual award at the International Jazz Competition Jazz Juniors '92 held in Kraków. He was also a member of the Zbigniew Namysłowski Quartet. In the poll organized among Jazz Forum readers Możdżer was voted the Most Promising Musician of the year 1993 and 1994, the Best Jazz Pianist – each year since 1994 till present as well as the Musician of the Year 1995 and 1996.
Since then the young pianist has collected numerous music awards, including:
Krzysztof Komeda prize awarded in 1992 by the Foundation of Polish Culture
1st prize at the International Jazz Improvisation Competition in Katowice in 1994
Mateusz Święcicki Prize awarded by 3rd Channel of the Polish National Radio
Grand Prix Melomani – the Artist of the Year 1997 awarded by Łódź Music Lovers’ Society
Fryderyk 1998 – the Jazz Musician of the Year 1998
Prize of the Mayor of the City of Gdansk for outstanding artistic achievement 2004
Paszport Polityki, awarded by the Polish magazine Polityka - 2004
Polish Ministry of Foreign Affairs Prize for the Polish Culture Promotion abroad – 2007
Readers of Jazz Forum prize: Pianist of the Year – from 1994 till 2008
Prize of the President of the City of Gdansk for the artistic achievements Neptuny 2009
Sztorm Roku Prize of Gazeta Wyborcza Trójmiasto for the best event in 2010 – Możdżer +
Splendor Gedanensis – The City of Gdańsk in Music category, 2011
MocArty 2010 RMF Classic – The Man of The Year 2010, 2011
Fryderyk 2011 prize for Kaczmarek by Możdżer
Fryderyk 2011 prize for Kaczmarek by Możdżer - Album of the year category - Original Soundtrack
Grand Prix Jazz Melomani 2010, Artist of the Year 2010
On many occasions Możdżer recorded film music with Zbigniew Preisner he also regularly works with Jan Kaczmarek, polish composer working in LA, while recording music score (for 20th Century Fox and Mira Max). He has been invited to perform jointly with the celebrities of Polish jazz, such as Tomasz Stańko, Janusz Muniak, Michał Urbaniak, Anna Maria Jopek, Adam Pierończyk and Piotr Wojtasik; and has also worked with acclaimed international musicians, including Arthur Blythe, Buster Williams, Billy Harper, Joe Lovano, Pat Metheny and Archie Shepp.
His theatrical projects are also remarkable:
Hair - love, rock musical - Musical Theatre in Gdynia
Tango with Lady M. - Polish Theatre of Dance in Poznań
A Midsummer Night's Dream - Musical Theatre in Gdynia in October 2001
What comes next are records of crystals, not part of the article:
An optimized crystal structure of Y5HoTm, computed with PBE.

abc: 9.6084 6.4841 11.7926
angles: 74.38 90.00 137.81
Closest atoms and distances in Å follow each position.
Fractional positions:
Y (0.9736, 0.5843, 0.8354)  6 Y 3.36-3.68, 2 Ho 3.45-3.57, 1 Tm 3.59
Y (0.5332, 0.7686, 0.0357)  7 Y 3.29-3.68, 2 Ho 3.37-3.44, 1 Tm 3.50
Y (0.3893, 0.4157, 0.6646)  6 Y 3.36-3.68, 2 Ho 3.45-3.57, 1 Tm 3.59
Y (0.8418, 0.0000, 0.7500)  8 Y 3.29-3.67, 2 Tm 3.32, 1 Ho 3.33
Y (0.1582, 0.0000, 0.2500)  8 Y 3.29-3.67, 2 Tm 3.32, 1 Ho 3.33
Y (0.0264, 0.4157, 0.1646)  6 Y 3.36-3.68, 2 Ho 3.45-3.57, 1 Tm 3.59
Y (0.7646, 0.2314, 0.4643)  7 Y 3.29-3.68, 2 Ho 3.37-3.44, 1 Tm 3.50
Y (0.2354, 0.7686, 0.5357)  7 Y 3.29-3.68, 2 Ho 3.37-3.44, 1 Tm 3.50
Y (0.6107, 0.5843, 0.3354)  6 Y 3.36-3.68, 2 Ho 3.45-3.57, 1 Tm 3.59
Y (0.4668, 0.2314, 0.9643)  7 Y 3.29-3.68, 2 Ho 3.37-3.44, 1 Tm 3.50
Tm (0.0000, 0.0000, 0.0000)  6 Y 3.32-3.59
Tm (0.0000, 0.0000, 0.5000)  6 Y 3.32-3.59
Ho (0.5050, 0.0000, 0.2500)  9 Y 3.33-3.57
Ho (0.4950, 0.0000, 0.7500)  9 Y 3.33-3.57

Summary:
Calculated formation energy ... 0.127 eV per atom
Spin magnetization ... 0.00 μB/f.u.
D(E_F) ... 13.35 states/eV/f.u.
Density ... 5.719 g/cm3
Psychosis Sarah Kane, directed by Grzegorz Jarzyna, Duesseldorfer Schauspielhouse
Rewizor M. Gogol, directed by Andrzej Domalik, Teatr Dramatyczny, Warsaw, 2002
Mandarynki i Pomarańcze Julian Tuwim, directed by Wojciech Kościelniak, Capitol - Music Theatre, Wrocław 2003
Wojciech Kościelniak, Capitol - Music Theatre, Wrocław 2003
Śluby Panieńskie by Aleksander Fredro, directed by Jan Englert, National Theatre, Warsaw 2007
Operetka by Witold Gombrowicz, dir. Michał Zadara, Capitol - Music Theatre, Wrocław 2007
Up to date, Leszek Możdżer has recorded over 100 albums, including many released under his own name:
Chopin - impressions in 1994
Talk to Jesus in 1996 (considered to be the Album of the Year 1996 according to a survey by Jazz Forum)
Facing the Wind 1996 in a duo with an American double bass player David Friesen
Live in Sofia in 1997 with Adam Pierończyk (voted the Album of the Year 1998 by the readers of Jazz Forum)
Chopin Demain - Impressions in 1999
Live in Ukraine in 2003
Makowicz vs Możdżer - At The Carnegie Hall NYC, EMI 2004
PIANO , Arms Records 2004
The Time Możdżer, Danielsson, Fresco - Outside Music 2005 ( Double Platinium Award in two months after album’s premiere)
Between Us And The Light Możdżer, Danielsson, Fresco - Outside Music 2006
(Double Platinium Award in two weeks after album’s premiere)
Pasodoble - Lars Danielsson & Leszek Możdżer, ACT 2007
LIVE CD&DVD Możdżer, Danielsson, Fresco - Outside Music 2007
FIREBIRD VII Phil Manzanera, Le
FIREBIRD VII Phil Manzanera, Leszek Możdżer, Charles Hayward, Yaron Stavi, Expression Records, 2008
Missa gratiatoria – Leszek Możdżer with Gdańsk University Choir, 2008
Tarantella - Lars Danielsson, Leszek Możdżer, Mathias Eick, John Parricelli, Eric Harland, ACT 2009
Kaczmarek by Możdżer, Universal 2010
Komeda, ACT 2011
Improvisations on the themes by Fryderyk Chopin have further strengthened his position of the artist and ranked him among the most outstanding individualities and virtuosos of the European jazz.
Together with Andrzej Bauer and m.bunio.s, Leszek Możdżer is working on a project called Lutosphere, based on Witold Lutosławski pieces. However presented to the audience, the project is still waiting for being released.
On 21st of August 2010 Leszek Możdżer performed on three stages in a project called Możdżer + together with: Naná Vasconcelos, Lars Danielsson, Zohar Fresco, John Scofield, Steve Swallow and Bill Stewart; Marcus Miller together with Alex Han and Louis Cato, Eddie Daniels and Charles Fox along with Polish musicians Motion Trio, Gaba Kulka and the Aukso Chamber Orchestra led by Marek Moś.
Leszek Możdżer has toured all European countries, as well as the USA, Kazakhstan, Kyrgyzia, Brazil, Canada, South Korea, Malaysia, Singapore, Japan, Urugway and in Chile for the audience of almost 15 000 people.
I consider him to be the greatest talent among Polish jazz pianists of recent years", "Personally, I think Leszek is the best Polish pianist. - Zbigniew Preisner
Leszek Możdżer is a revelation we have not had for years. The leader has arrived on the stage. And, whether we like it or not, he is already becoming the most distinguished musician of the Polish jazz - Jan Ptaszyn WrÓblewski
A jazz pianist with exceptional gift for improvisation as well as a great individual style. Music of Leszek Możdżer is an artistic phenomenon not to be missed - Robert Holzmann
Leszek Możdżer, one of the greatest piano virtuosos, could easily be dubbed the Star of the East - Frankfurter Allgemeine (Germany).
(biography after Możdżer's website)